The Familiar Faery by D.Elliott

My name is Saul Pilkinghorne, I investigate the claims of injury & fraud by witchcraft. I work for the Church in Rome & have been given a special vocation; that of inquisitor, also known as a demonologist & judge .

I had been called to a small town because of the strange incidents that had started happening there. The reports began with families who had had their horses stolen in the middle of the night & found the next morning ridden to their death. Other families had members who were all falling ill to a sleeping sickness that they were not waking up from. There were even more reports from families that the children were seeing a faery creature around babes heads that no adult could see.

-- Between two parts of the article: records of crystals --
=====
(1)
Diffraction record for Li5CrP2O8F2. The powder XRD pattern is simulated, not measured: it uses a DFT-relaxed cell (GGA+U, the Materials Project) and Cu Kα, 1.54184 Å.
Peak positions follow from Bragg's law for the DFT cell and can differ from measured ones.

Cell and atoms:
a b c (Å): 10.057 10.057 6.505
angles (deg): 90.00 90.00 120.00
Element x y z (fractional)
Li 0.000 0.000 0.000
Li 0.000 0.000 0.419
Li 0.015 0.532 0.697
Li 0.166 0.333 0.459
Li 0.168 0.834 0.459
Li 0.324 0.140 0.223
Li 0.333 0.667 0.502
Li 0.333 0.667 0.922
Li 0.468 0.483 0.697
Li 0.517 0.985 0.697
Li 0.667 0.333 0.442
Li 0.667 0.333 0.923
Li 0.667 0.832 0.459
Li 0.816 0.676 0.223
Li 0.860 0.184 0.223
Cr 0.166 0.334 0.961
Cr 0.168 0.834 0.961
Cr 0.666 0.832 0.961
P 0.037 0.524 0.221
P 0.297 0.144 0.701
P 0.476 0.512 0.221
P 0.488 0.963 0.221
P 0.847 0.703 0.701
P 0.856 0.153 0.701
O 0.016 0.734 0.725
O 0.065 0.385 0.195
O 0.118 0.613 0.418
O 0.121 0.627 0.029
O 0.214 0.041 0.891
O 0.219 0.057 0.503
O 0.266 0.282 0.725
O 0.321 0.935 0.195
O 0.373 0.494 0.029
O 0.387 0.506 0.418
O 0.471 0.202 0.704
O 0.494 0.882 0.418
O 0.506 0.879 0.029
O 0.530 0.394 0.221
O 0.606 0.136 0.221
O 0.615 0.679 0.195
O 0.718 0.984 0.725
O 0.731 0.529 0.704
O 0.798 0.269 0.704
O 0.828 0.786 0.891
O 0.838 0.781 0.503
O 0.864 0.470 0.221
O 0.943 0.162 0.503
O 0.959 0.172 0.891
F 0.032 0.842 0.176
F 0.158 0.190 0.176
F 0.175 0.478 0.744
F 0.303 0.825 0.744
F 0.522 0.697 0.744
F 0.810 0.968 0.176

Main lines, low angle first (15° ≤ 2θ ≤ 90°):
hkl	2θ/deg	I/Imax
0 1 1	17.01	228
1 1 0	17.64	212
2 0 1	24.60	1000
3 0 0	30.80	136
0 2 2	34.41	223
2 2 1	38.38	228
2 1 2	38.93	176
0 2 3	46.83	121
4 0 2	50.43	291
2 4 2	63.32	138


(2)
Diffraction record for Sr10Fe10O29. The powder XRD pattern is simulated, not measured: it uses a DFT-relaxed cell (GGA+U, the Materials Project) and Cu Kα, 1.54184 Å.
Peak positions follow from Bragg's law for the DFT cell and can differ from measured ones.

Cell and atoms:
a b c (Å): 3.906 7.852 19.696
angles (deg): 90.00 90.00 90.00
Element x y z (fractional)
Sr 0.000 0.233 0.000
Sr 0.000 0.246 0.202
Sr 0.000 0.246 0.798
Sr 0.000 0.249 0.400
Sr 0.000 0.249 0.600
Sr 0.000 0.751 0.400
Sr 0.000 0.751 0.600
Sr 0.000 0.754 0.202
Sr 0.000 0.754 0.798
Sr 0.000 0.767 0.000
Fe 0.500 0.000 0.100
Fe 0.500 0.000 0.300
Fe 0.500 0.000 0.500
Fe 0.500 0.000 0.700
Fe 0.500 0.000 0.900
Fe 0.500 0.500 0.106
Fe 0.500 0.500 0.301
Fe 0.500 0.500 0.500
Fe 0.500 0.500 0.699
Fe 0.500 0.500 0.894
O 0.000 0.000 0.100
O 0.000 0.000 0.299
O 0.000 0.000 0.500
O 0.000 0.000 0.701
O 0.000 0.000 0.900
O 0.000 0.500 0.087
O 0.000 0.500 0.299
O 0.000 0.500 0.500
O 0.000 0.500 0.701
O 0.000 0.500 0.913
O 0.500 0.000 0.000
O 0.500 0.000 0.198
O 0.500 0.000 0.401
O 0.500 0.000 0.599
O 0.500 0.000 0.802
O 0.500 0.249 0.299
O 0.500 0.249 0.701
O 0.500 0.251 0.500
O 0.500 0.260 0.093
O 0.500 0.260 0.907
O 0.500 0.500 0.202
O 0.500 0.500 0.399
O 0.500 0.500 0.601
O 0.500 0.500 0.798
O 0.500 0.740 0.093
=====

I had been to this town before to watch over a trial of a woman who had been charged with being a witch. She had been acquitted through lack of evidence & I remember the townsfolk being agitated at the outcome. I had found her to be a strange woman, a loner with little respect for the Word of the Lord, a follower of pagan ways.

Her crime had been to con the townsfolk into purchasing her strange remedies for ill health & invocations for various whims & hopes, enchantments & such like. All of them had turned out to be fake concoctions & naturally the people duped had wanted compensation.

As I say she had proven innocent but here I was returning to a town that were once again bringing the same charges against her.


They believed she was responsible through witchcraft for the horse thefts & the sleeping people & was also in league with the faery. I could see their reasoning; each family that had been afflicted had been one of the many that had brought charges against her as a witch before.

The townsfolk were wanting to blame her but as yet I had no evidence. I tried to visit her but no-one had actually seen her in a long time. After some investigations I began to wonder if she was still alive for she had not been seen for over a year. I knew the local folk feared her as much as they hated her. Now I realised the townsfolk had taken the Scripture too literally & were refusing to accept her.

‘Thou shalt not suffer a witch!' the local magistrate quoted at me.

"So you drove her out of town!" I was bewildered.

“It was many years ago...” the magistrate began.

"Three," I confirmed.

“Three years to cohort with the devil," said the priest of the town. He was pale & old.

"You have to stop her before she attacks other families!” the magistrate almost seemed to be pleading.

I cannot find her,” I told him. "How many other families do you feel are at risk from her?”

“There are ten others that also brought charges against her before,” then as an after thought the magistrate added. “Do you think we should put guards with them?”

“Guards?” I almost laughed. “Against witchcraft?”

The priest began to recite the Lord's Prayer. The magistrate took me aside.

“I hear tale that she flies about in the full moon,” he whispered. I nodded & left. The woman had indeed put fear & suspicion into all.

As I said I searched the countryside for her but she was nowhere to be seen. No-one had seen her anywhere & so I decided to return to the town one evening. As the sun set I decided to pray whilst the horse plodded & I asked the Lord for guidance to the true culprit of these crimes.

Night fell & the dim lights of the town twinkled far in the distance. Slowly the full moon rose bringing the magical silver light to the land. We had entered a small woodland which darkened our passage. I was relieved when we broke the cover of the trees, my steed was not. He whinnied & I tried soothing him with a hand on his neck. I saw his ears go back & felt his muscles tense.

I looked up & there on the hilltop in front of us I could see a distinct silhouette of a person. It was the woman they called a witch. She had her back to us as she pranced on top of the hill in the moonlight. Beside her danced the tiniest being i had ever seen. It stood up to her calf & flittered about, dancing & skipping with wings that lifted it up into the air. From afar I could not tell the gender of the delicate creature but it wore loose clothing & its hair was wild with the tops of pointy ears poking out.

I was to discover later that the reason I could see the faery familiar of the witch was because of the moonlight rays that bathed it. Any other time I would have been blind to it. This would be deemed a criminal act, a witch cohorting with demon creatures.

Just as I thought this the faery creature sniffed the air then turned around & looked directly at us. My horse reared up & I was thrown as it bolted.

As I got to my feet I saw the familiar faery take to the air & speed after it. It caught my horse & grabbed it by the mane before throwing itself onto its back.

I could hear the faery screaming with glee as my horse screamed with fear & the witch screamed with rage. The witch lifted her hand & began to recite what I presumed was a spell then suddenly she noticed me standing at the bottom of the hill. She turned & and ran the other way. I immediately set off up the hill but by the time I had got to the top she had disappeared.

I looked back over the land & could see my horse galloping through the fields. The faery rode majestically on its back as the horse panicked beneath it. The faery had turned its head & I could see they were heading up the hill. I could hear my horses fast hooves as I ran behind a bush.

The faery yelled faery words & I heard the horse scream as it was bought to an abrupt halt just a few feet from my hiding place. I could hear my horse breath heavily as the faery called out in it's strange tongue.

I jumped out from the bush & up onto my horse grabbing the faery with both hands. The horse already scared out of its wits began to bolt but I am a trained horseman & held with my legs. It was not easy calming a startled horse & holding onto a spiteful faery at the same time.

With it captured in my bell jar I got a close look. Though delicate it was a fierce creature. My arms & fingers were bruised from its kicks & punches as I had struggled to capture it. It's skin was green but almost translucent, its eyes were dark balls, no white at all. Black beads that stared furiously at me. It's fine transparent wings fluttered wildly in frustration. It would not stop throwing itself against the glass & buzzed constantly as its wings fluttered.

I now had my evidence. I woke the magistrate & priest & told them to meet me in the chapel. I went back & checked on the taery. I was now getting concerned about it. It looked weak & battered. It was pounding the glass with its fists as it lay on the bottom. I immediately opened the jar but it did not attempt to escape. Its breathing was irregular & its eyes full of tears.

“What can I do to save you?” I asked.

“Take me back to my mistress,” it said softly.

“I do not know where she is,” I confessed.

The faery rolled its eyes & laid its head back on the glass. My heart was pounding. I had never seen such a creature & now I felt responsible for its physical state.

“Tell me who or what you are,” I asked.

The faery looked up at me. “Not your sort.”

I t s voice was no longer soft but cut through me like a septic knife, It spat at me, tiny spittle but that took its energy & it crumpled into a foetal position.

I carried the motionless creature down to the chapel to show to the magistrate & priest. They stared in almost disbelief at the now dead faery. It's eyes were open but rock hard blackness. Its limbs hung loose, it's hair now coarse & dry.

“It is a doll,” the magistrate exclaimed.

I tried to convince him otherwise as I watched the priest cross himself.

“It is not of this world,” the priest mumbled.

“What of the witch?” the magistrate asked.

“I do not know,” I shook my head, unable to take my eyes off the dead creature which was losing colour fast. It was withered now, no longer a beautiful magical creature but a limp bag of skin & bones.

“It is decomposing before our very eyes,” the priest exclaimed.

“It's it because it is evil in the Lord's house?” asked the magistrate.

The priest was telling him yes but I was not so sure. I heard tale that familiars of witches had a special relationship. They were linked in a psychic way & I wondered if maybe that was what was killing the faery. Maybe the witch had broken the link. Familiars were used to dispatch to bewitch people yet this faery had ran off of its own accord. Maybe they were not linked at all.

The magistrate woke the guards up & sent them out to look for the witch. They came back a few hours later adamant she was not in the land. By this time neither was the faery. It's body had dissolved into dust that had then blown away before any of us could collect it.

I spent the day blessing the doors & gates of the town for the folk, it made them feel at ease. I stayed in town for the next week by the end of which I was adamant my work was done for no more incidents occurred; no horses were stolen, no more sleeping sickness, in fact the surviving victims of the disease were waking up, & children no longer saw a faery round the babes. Soon the towns way of life fell back into its regular path. The faery & the witch became folk tale & I travelled onto my next calling-a witch & her cat were causing trouble in another town.